Entries
____________
Entry 1:
# Th3TcTeSe
Theoretical X-ray powder pattern, λ = 1.5418 Å (Cu Kα). Input: a PBE-relaxed structure.
Peak positions follow from Bragg's law for the DFT cell and can differ from measured ones.

Atomic structure:
```
data_Th3TcTeSe
_space_group_name_H-M_alt 'P 1 21/m 1'
_space_group_IT_number 11
_space_group_name_Hall '-P 2yb'
_cell_length_a 8.162
_cell_length_b 4.220
_cell_length_c 10.353
_cell_angle_alpha 90.00
_cell_angle_beta 113.11
_cell_angle_gamma 90.00
loop_
_atom_site_label
_atom_site_fract_x
_atom_site_fract_y
_atom_site_fract_z
_atom_site_occupancy
Th1 0.157 0.250 0.137 1
Th2 0.275 0.750 0.480 1
Th3 0.315 0.750 0.903 1
Tc1 0.056 0.250 0.822 1
Te1 0.491 0.250 0.726 1
Se1 0.009 0.750 0.632 1
```

Peak list (6 most intense, 2θ from 5° to 70°, by angle)
2θ (°)  d [Å]  I_rel  hkl
28.84  3.096  58  2 0 -3
30.47  2.933  65  2 1 -1
31.92  2.803  100  2 1 0
33.53  2.673  54  1 1 2
35.81  2.507  50  2 0 2
42.86  2.110  50  0 2 0

Entry 2:
# PuTc2N3
Theoretical X-ray powder pattern, λ = 1.5418 Å (Cu Kα). Input: a PBE-relaxed structure.
Peak positions follow from Bragg's law for the DFT cell and can differ from measured ones.

Atomic structure:
```
data_PuTc2N3
_space_group_name_H-M_alt 'P m m n'
_space_group_IT_number 59
_cell_length_a 4.460
_cell_length_b 9.672
_cell_length_c 3.422
_cell_angle_alpha 90.00
_cell_angle_beta 90.00
_cell_angle_gamma 90.00
loop_
_space_group_symop_operation_xyz
'x,y,z'
'-x,-y,-z'
'-x+1/2,-y+1/2,z'
'x+1/2,y+1/2,-z'
'x+1/2,-y,-z'
'-x+1/2,y,z'
'-x,y+1/2,-z'
'x,-y+1/2,z'
loop_
_atom_site_label
_atom_site_fract_x
_atom_site_fract_y
_atom_site_fract_z
_atom_site_occupancy
Pu1 0.250 0.250 0.009 1
Tc1 0.250 0.598 0.486 1
N1 0.250 0.105 0.512 1
N2 0.250 0.750 0.017 1
```

Peak list (6 most intense, 2θ from 5° to 70°, by angle)
2θ (°)  d [Å]  I_rel  hkl
18.34  4.836  19  0 2 0
32.04  2.793  35  0 2 1
34.31  2.613  100  1 3 0
40.45  2.230  20  2 0 0
45.96  1.975  22  0 4 1
62.86  1.478  17  2 4 1

Entry 3:
# CaPaP
Theoretical X-ray powder pattern, λ = 1.5418 Å (Cu Kα). Input: a PBE-relaxed structure.
Peak positions follow from Bragg's law for the DFT cell and can differ from measured ones.

Atomic structure:
```
data_CaPaP
_space_group_name_H-M_alt 'P 3 m 1'
_space_group_IT_number 156
_space_group_name_Hall 'P 3 -2"'
_cell_length_a 3.7459
_cell_length_b 3.7459
_cell_length_c 6.8402
_cell_angle_alpha 90.00
_cell_angle_beta 90.00
_cell_angle_gamma 120.00
loop_
_atom_site_label
_atom_site_fract_x
_atom_site_fract_y
_atom_site_fract_z
_atom_site_occupancy
Ca1 0.0000 0.0000 0.0000 1
Pa1 0.3333 0.6667 0.4910 1
P1 0.6667 0.3333 0.7357 1
```

Peak list (6 most intense, 2θ from 5° to 70°, by angle)
2θ (°)  d [Å]  I_rel  hkl
12.94  6.840  64  0 0 1
26.05  3.420  22  0 0 2
27.50  3.244  36  1 0 0
30.50  2.931  100  0 1 1
38.24  2.354  46  1 0 2
48.82  1.865  28  1 0 3

Entry 4:
# Tl10Hg3Cl16
Theoretical X-ray powder pattern, λ = 1.5418 Å (Cu Kα). Input: a PBE-relaxed structure.
Peak positions follow from Bragg's law for the DFT cell and can differ from measured ones.

Atomic structure:
```
data_Tl10Hg3Cl16
_space_group_name_H-M_alt 'I 4/m'
_space_group_IT_number 87
_space_group_name_Hall '-I 4'
_cell_length_a 8.705
_cell_length_b 8.705
_cell_length_c 24.204
_cell_angle_alpha 90.00
_cell_angle_beta 90.00
_cell_angle_gamma 90.00
loop_
_atom_site_label
_atom_site_fract_x
_atom_site_fract_y
_atom_site_fract_z
_atom_site_occupancy
Tl1 0.000 0.000 0.224 1
Tl2 0.139 0.327 0.087 1
Hg1 0.000 0.000 0.500 1
Hg2 0.000 0.500 0.250 1
Cl1 0.000 0.000 0.095 1
Cl2 0.000 0.000 0.401 1
Cl3 0.140 0.326 0.500 1
Cl4 0.149 0.669 0.183 1
```

Peak list (6 most intense, 2θ from 5° to 70°, by angle)
2θ (°)  d [Å]  I_rel  hkl
22.03  4.034  36  0 0 6
23.14  3.844  66  2 1 1
25.20  3.533  43  2 0 4
29.44  3.034  100  2 1 5
32.53  2.753  40  1 3 0
34.70  2.585  34  1 2 7

=====

No. 1
Theoretical X-ray diffraction stick pattern
Compound: LaPrY
Radiation: λ = 1.5418 Å (Cu Kα)
Structure: the GGA-PBE geometry in Alexandria
____________
Work order
What is needed: give back all of the data further above without altering anything.
Solution
Entry 1:
# Th3TcTeSe
Theoretical X-ray powder pattern, λ = 1.5418 Å (Cu Kα). Input: a PBE-relaxed structure.
Peak positions follow from Bragg's law for the DFT cell and can differ from measured ones.

Atomic structure:
```
data_Th3TcTeSe
_space_group_name_H-M_alt 'P 1 21/m 1'
_space_group_IT_number 11
_space_group_name_Hall '-P 2yb'
_cell_length_a 8.162
_cell_length_b 4.220
_cell_length_c 10.353
_cell_angle_alpha 90.00
_cell_angle_beta 113.11
_cell_angle_gamma 90.00
loop_
_atom_site_label
_atom_site_fract_x
_atom_site_fract_y
_atom_site_fract_z
_atom_site_occupancy
Th1 0.157 0.250 0.137 1
Th2 0.275 0.750 0.480 1
Th3 0.315 0.750 0.903 1
Tc1 0.056 0.250 0.822 1
Te1 0.491 0.250 0.726 1
Se1 0.009 0.750 0.632 1
```

Peak list (6 most intense, 2θ from 5° to 70°, by angle)
2θ (°)  d [Å]  I_rel  hkl
28.84  3.096  58  2 0 -3
30.47  2.933  65  2 1 -1
31.92  2.803  100  2 1 0
33.53  2.673  54  1 1 2
35.81  2.507  50  2 0 2
42.86  2.110  50  0 2 0

Entry 2:
# PuTc2N3
Theoretical X-ray powder pattern, λ = 1.5418 Å (Cu Kα). Input: a PBE-relaxed structure.
Peak positions follow from Bragg's law for the DFT cell and can differ from measured ones.

Atomic structure:
```
data_PuTc2N3
_space_group_name_H-M_alt 'P m m n'
_space_group_IT_number 59
_cell_length_a 4.460
_cell_length_b 9.672
_cell_length_c 3.422
_cell_angle_alpha 90.00
_cell_angle_beta 90.00
_cell_angle_gamma 90.00
loop_
_space_group_symop_operation_xyz
'x,y,z'
'-x,-y,-z'
'-x+1/2,-y+1/2,z'
'x+1/2,y+1/2,-z'
'x+1/2,-y,-z'
'-x+1/2,y,z'
'-x,y+1/2,-z'
'x,-y+1/2,z'
loop_
_atom_site_label
_atom_site_fract_x
_atom_site_fract_y
_atom_site_fract_z
_atom_site_occupancy
Pu1 0.250 0.250 0.009 1
Tc1 0.250 0.598 0.486 1
N1 0.250 0.105 0.512 1
N2 0.250 0.750 0.017 1
```

Peak list (6 most intense, 2θ from 5° to 70°, by angle)
2θ (°)  d [Å]  I_rel  hkl
18.34  4.836  19  0 2 0
32.04  2.793  35  0 2 1
34.31  2.613  100  1 3 0
40.45  2.230  20  2 0 0
45.96  1.975  22  0 4 1
62.86  1.478  17  2 4 1

Entry 3:
# CaPaP
Theoretical X-ray powder pattern, λ = 1.5418 Å (Cu Kα). Input: a PBE-relaxed structure.
Peak positions follow from Bragg's law for the DFT cell and can differ from measured ones.

Atomic structure:
```
data_CaPaP
_space_group_name_H-M_alt 'P 3 m 1'
_space_group_IT_number 156
_space_group_name_Hall 'P 3 -2"'
_cell_length_a 3.7459
_cell_length_b 3.7459
_cell_length_c 6.8402
_cell_angle_alpha 90.00
_cell_angle_beta 90.00
_cell_angle_gamma 120.00
loop_
_atom_site_label
_atom_site_fract_x
_atom_site_fract_y
_atom_site_fract_z
_atom_site_occupancy
Ca1 0.0000 0.0000 0.0000 1
Pa1 0.3333 0.6667 0.4910 1
P1 0.6667 0.3333 0.7357 1
```

Peak list (6 most intense, 2θ from 5° to 70°, by angle)
2θ (°)  d [Å]  I_rel  hkl
12.94  6.840  64  0 0 1
26.05  3.420  22  0 0 2
27.50  3.244  36  1 0 0
30.50  2.931  100  0 1 1
38.24  2.354  46  1 0 2
48.82  1.865  28  1 0 3

Entry 4:
# Tl10Hg3Cl16
Theoretical X-ray powder pattern, λ = 1.5418 Å (Cu Kα). Input: a PBE-relaxed structure.
Peak positions follow from Bragg's law for the DFT cell and can differ from measured ones.

Atomic structure:
```
data_Tl10Hg3Cl16
_space_group_name_H-M_alt 'I 4/m'
_space_group_IT_number 87
_space_group_name_Hall '-I 4'
_cell_length_a 8.705
_cell_length_b 8.705
_cell_length_c 24.204
_cell_angle_alpha 90.00
_cell_angle_beta 90.00
_cell_angle_gamma 90.00
loop_
_atom_site_label
_atom_site_fract_x
_atom_site_fract_y
_atom_site_fract_z
_atom_site_occupancy
Tl1 0.000 0.000 0.224 1
Tl2 0.139 0.327 0.087 1
Hg1 0.000 0.000 0.500 1
Hg2 0.000 0.500 0.250 1
Cl1 0.000 0.000 0.095 1
Cl2 0.000 0.000 0.401 1
Cl3 0.140 0.326 0.500 1
Cl4 0.149 0.669 0.183 1
```

Peak list (6 most intense, 2θ from 5° to 70°, by angle)
2θ (°)  d [Å]  I_rel  hkl
22.03  4.034  36  0 0 6
23.14  3.844  66  2 1 1
25.20  3.533  43  2 0 4
29.44  3.034  100  2 1 5
32.53  2.753  40  1 3 0
34.70  2.585  34  1 2 7

=====

No. 1
Theoretical X-ray diffraction stick pattern
Compound: LaPrY
Radiation: λ = 1.5418 Å (Cu Kα)
Structure: the GGA-PBE geometry in Alexandria